## Assignment
Count the lines further down that contain the word "OMol25" and give the number alone.
## Contents
┌──
C11H31BrFGaNO10P2 | ωB97M-V/def2-TZVPD

Results
LUMO energy in eV: 1.35
Net charge: -1
HOMO level in eV: -4.97
Multiplicity: 1

Element x y z (Å)
Br (-2.892, 0.150, 4.608)
Ga (-3.315, -2.092, 3.822)
P (-1.608, 4.810, -2.020)
P (0.248, -1.182, -2.448)
F (-3.060, -2.177, 2.027)
O (-2.604, 4.061, -2.776)
O (-1.911, 6.361, -2.126)
O (0.717, 0.365, -2.225)
O (-1.160, 4.142, -0.667)
O (0.732, -1.793, -1.197)
O (2.335, -0.930, 3.578)
O (-2.083, -3.194, 4.639)
O (-0.905, -2.253, -2.796)
O (1.200, -1.469, -3.733)
O (-0.171, 4.803, -2.796)
N (0.159, -2.890, 3.115)
C (1.882, 0.547, -1.412)
C (1.359, -0.505, -4.780)
C (-1.253, 2.700, -0.596)
C (-1.721, -4.325, 3.896)
C (-1.757, -2.117, -3.950)
C (1.076, 4.814, -2.108)
C (2.858, -3.176, 4.190)
C (-1.105, 7.305, -1.405)
C (-0.634, -4.069, 2.830)
C (1.312, -2.723, 2.248)
C (2.524, -2.247, 3.038)
H (-2.289, 2.385, -0.513)
H (-4.830, -2.428, 4.118)
H (3.915, -3.099, 4.442)
H (1.103, -2.056, 1.404)
H (1.598, -3.692, 1.833)
H (1.753, 5.471, -2.653)
H (-0.924, 6.985, -0.379)
H (0.060, -4.917, 2.855)
H (1.661, 0.349, -0.368)
H (1.494, 3.806, -2.091)
H (-1.062, -4.080, 1.818)
H (3.382, -2.203, 2.355)
H (2.523, -0.307, 2.875)
H (-2.583, -4.806, 3.412)
H (0.986, 5.168, -1.083)
H (-2.605, -2.778, -3.802)
H (0.555, 0.230, -4.798)
H (-0.783, 2.247, -1.466)
H (-2.129, -1.099, -4.067)
H (-0.422, -2.064, 3.109)
H (2.657, -4.207, 3.900)
H (2.249, -2.920, 5.052)
H (2.162, 1.594, -1.536)
H (-1.218, -2.415, -4.851)
H (2.690, -0.098, -1.751)
H (-1.314, -5.057, 4.605)
H (-0.727, 2.400, 0.306)
H (-0.152, 7.448, -1.916)
H (-1.647, 8.246, -1.386)
H (2.305, 0.020, -4.652)
H (1.370, -1.040, -5.728)

C5H13NS | ωB97M-V/def2-TZVPD

Results
LUMO energy in eV: 0.00
HOMO level in eV: -7.79
Relative energy (zero: lowest compared OMol25 entry of this formula, charge and spin) in eV: 9.3126
Multiplicity: 1

Element x y z (Å)
S (-2.562, 0.081, 0.105)
N (2.207, 0.350, 0.542)
C (0.167, 1.259, -0.509)
C (-0.991, -0.804, -0.292)
C (3.139, -1.172, 0.525)
C (0.995, 1.102, 0.766)
C (-0.207, 0.049, -1.271)
H (0.605, 1.970, -1.207)
H (1.298, 2.076, 1.151)
H (-0.836, 0.421, -2.086)
H (-1.709, 1.814, 0.192)
H (4.140, -0.768, 0.522)
H (0.257, 0.700, 1.478)
H (3.124, -1.880, 1.367)
H (2.955, -1.726, -0.392)
H (-0.951, 1.396, -0.136)
H (0.625, -0.454, -1.767)
H (-1.289, -1.753, -0.735)
H (-0.451, -0.943, 0.641)
H (1.985, -0.788, 0.811)

C6H10O | ωB97M-V/def2-TZVPD

Results
LUMO energy (alpha / beta) in eV: 0.92 / 0.92
HOMO level (alpha / beta) in eV: -6.86 / -6.86
Relative energy (zero: lowest compared OMol25 entry of this formula, charge and spin) in eV: 4.9838
Multiplicity: 1

Element x y z (Å)
O (0.738, -0.799, 1.235)
C (-1.284, 0.779, 0.174)
C (-1.100, -0.585, 0.809)
C (1.150, 0.924, -0.460)
C (-0.026, 1.515, -0.245)
C (0.323, -1.300, -1.027)
C (1.275, -0.548, -0.240)
H (-0.134, 2.584, -0.418)
H (2.310, -0.903, -0.169)
H (2.009, 1.495, -0.810)
H (-1.852, 1.435, 0.854)
H (-1.639, -1.422, 0.384)
H (-1.898, 0.635, -0.724)
H (0.484, -2.374, -1.142)
H (1.041, -0.097, 1.848)
H (-0.059, -0.840, -1.933)
H (-1.261, -0.557, 1.890)

C19H24BrCsN4O5 | ωB97M-V/def2-TZVPD

Results
LUMO energy in eV: -0.26
HOMO level in eV: -7.47
Relative energy (zero: lowest compared OMol25 entry of this formula, charge and spin) in eV: 1.1642
Multiplicity: 1

Element x y z (Å)
Cs (0.922, -1.831, 0.280)
Br (1.600, 0.295, -2.733)
O (-4.135, 1.009, 0.769)
O (4.823, -2.527, 2.383)
O (3.231, -1.741, 1.065)
O (-1.359, -2.151, 0.723)
O (0.374, -4.092, -2.583)
N (-0.518, 0.443, -0.564)
N (4.064, -3.163, -1.048)
N (-1.135, 0.225, 0.578)
N (4.673, -3.260, 0.201)
C (-3.448, -1.154, 4.237)
C (-0.349, -5.062, -1.830)
C (-4.641, 0.544, 3.024)
C (-2.705, -1.430, 3.100)
C (-2.047, -1.054, 0.698)
C (-1.330, 6.621, -2.063)
C (-3.884, 0.267, 1.893)
C (0.638, 1.835, -2.113)
C (-2.902, -0.725, 1.923)
C (5.939, -3.388, 2.583)
C (0.806, 2.988, -2.771)
C (0.689, 5.463, -2.665)
C (-1.298, 4.220, -2.165)
C (0.006, 6.645, -2.437)
C (-1.981, 5.403, -1.938)
C (-0.135, 1.616, -0.911)
└──
## Response
3